
Pytorch implementation for Semantic Segmentation/Scene Parsing on MIT ADE20K dataset

Primary LanguagePythonMIT LicenseMIT

Semantic Segmentation on MIT ADE20K dataset in PyTorch

This is a PyTorch implementation of semantic segmentation models on MIT ADE20K scene parsing dataset.

ADE20K is the largest open source dataset for semantic segmentation and scene parsing, released by MIT Computer Vision team. Follow the link below to find the repository for our dataset and implementations on Caffe and Torch7:


Supported models:

  • vgg16_dilated
  • vgg19_dilated
  • resnet34_dilated16
  • resnet34_dilated8
  • resnet50_dilated16
  • resnet50_dilated8


The code is developed under the following configurations.

### Inserted here: crystal structures
- - -
# 1
NaBi2Pd: calculated powder XRD pattern (Cu Kα (λ = 1.5418 Å)), based on a cell relaxed with GGA-PBE.
No peak broadening, texture or thermal motion is included.

Principal peaks in the range 5 to 70 degrees two-theta, low angle first:
two_theta  I/Imax
15.27  27
18.70  22
21.74  35
30.83  100
32.76  22
37.95  87
39.50  39
41.33  24

```
data_NaBi2Pd
_chemical_formula_sum 'Na2 Bi4 Pd2'
_cell_length_a 6.2000
_cell_length_b 6.2000
_cell_length_c 8.2463
_cell_angle_alpha 90.00
_cell_angle_beta 90.00
_cell_angle_gamma 138.74
_space_group_name_H-M_alt 'P 1'
_space_group_IT_number 1
loop_
_space_group_symop_operation_xyz
'x,y,z'
loop_
_atom_site_label
_atom_site_fract_x
_atom_site_fract_y
_atom_site_fract_z
_atom_site_occupancy
Na1 0.0626 0.9374 0.7500 1
Na2 0.9374 0.0626 0.2500 1
Bi1 0.3574 0.6426 0.5429 1
Bi2 0.3574 0.6426 0.9571 1
Bi3 0.6426 0.3574 0.0429 1
Bi4 0.6426 0.3574 0.4571 1
Pd1 0.2129 0.7871 0.2500 1
Pd2 0.7871 0.2129 0.7500 1
```

# 2
SrNi9P5: calculated powder XRD pattern (Cu Kα (λ = 1.5418 Å)), based on a cell relaxed with GGA-PBE.
No peak broadening, texture or thermal motion is included.

Principal peaks in the range 5 to 70 degrees two-theta, low angle first:
two_theta  I/Imax
31.73  59
32.09  65
35.92  100
36.89  56
46.55  70
49.19  53
49.70  63
54.86  77

```
data_SrNi9P5
_chemical_formula_sum 'Sr2 Ni18 P10'
_cell_length_a 6.5125
_cell_length_b 6.5125
_cell_length_c 10.8062
_cell_angle_alpha 90.00
_cell_angle_beta 90.00
_cell_angle_gamma 120.00
_space_group_name_H-M_alt 'P 1'
_space_group_IT_number 1
loop_
_space_group_symop_operation_xyz
'x,y,z'
loop_
_atom_site_label
_atom_site_fract_x
_atom_site_fract_y
_atom_site_fract_z
_atom_site_occupancy
Sr1 0.0000 0.0000 0.0000 1
Sr2 0.0000 0.0000 0.5000 1
Ni1 0.0717 0.5359 0.1073 1
Ni2 0.0717 0.5359 0.3927 1
Ni3 0.2025 0.4049 0.7500 1
Ni4 0.2025 0.7975 0.7500 1
Ni5 0.4049 0.2025 0.2500 1
Ni6 0.4641 0.5359 0.1073 1
Ni7 0.4641 0.5359 0.3927 1
Ni8 0.4641 0.9283 0.1073 1
Ni9 0.4641 0.9283 0.3927 1
Ni10 0.5359 0.0717 0.6073 1
Ni11 0.5359 0.0717 0.8927 1
Ni12 0.5359 0.4641 0.6073 1
Ni13 0.5359 0.4641 0.8927 1
Ni14 0.5951 0.7975 0.7500 1
Ni15 0.7975 0.2025 0.2500 1
Ni16 0.7975 0.5951 0.2500 1
Ni17 0.9283 0.4641 0.6073 1
Ni18 0.9283 0.4641 0.8927 1
P1 0.1744 0.3488 0.2500 1
P2 0.1744 0.8256 0.2500 1
P3 0.3333 0.6667 0.5617 1
P4 0.3333 0.6667 0.9383 1
P5 0.3488 0.1744 0.7500 1
P6 0.6512 0.8256 0.2500 1
P7 0.6667 0.3333 0.0617 1
P8 0.6667 0.3333 0.4383 1
P9 0.8256 0.1744 0.7500 1
P10 0.8256 0.6512 0.7500 1
```

# 3
Ti4AlCr: calculated powder XRD pattern (Cu Kα (λ = 1.5418 Å)), based on a cell relaxed with GGA-PBE.
No peak broadening, texture or thermal motion is included.

Principal peaks in the range 5 to 70 degrees two-theta, low angle first:
two_theta  I/Imax
11.00  36
38.85  85
40.06  100
41.84  43
42.29  19
43.71  41
51.63  11
62.11  24

```
data_Ti4AlCr
_chemical_formula_sum 'Ti4 Al1 Cr1'
_cell_length_a 2.8530
_cell_length_b 4.1416
_cell_length_c 8.1404
_cell_angle_alpha 90.00
- - -
### Back to the entry

  • Hardware: 2-8 Pascal Titan X GPUs (change [--num_gpus NUM_GPUS] accordingly)
  • Software: Ubuntu 14.04, CUDA8.0, Python2.7, PyTorch 0.2.0


  1. Download the ADE20K scene parsing dataset:
chmod +x download_ADE20K.sh
  1. Train a network (default: resnet34_dilated8). During training, checkpoints will be saved in folder ckpt, visual results will be saved in folder vis.
python train.py
  1. Input arguments: (see full input arguments via python train.py -h )
usage: train.py [-h] [--id ID] [--arch_encoder ARCH_ENCODER]
                [--arch_decoder ARCH_DECODER]
                [--weights_encoder WEIGHTS_ENCODER]
                [--weights_decoder WEIGHTS_DECODER] [--fc_dim FC_DIM]
                [--list_train LIST_TRAIN] [--list_val LIST_VAL]
                [--root_img ROOT_IMG] [--root_seg ROOT_SEG]
                [--num_gpus NUM_GPUS]
                [--batch_size_per_gpu BATCH_SIZE_PER_GPU]
                [--num_epoch NUM_EPOCH] [--optim OPTIM]
                [--lr_encoder LR_ENCODER] [--lr_decoder LR_DECODER]
                [--lr_step LR_STEP] [--beta1 BETA1]
                [--weight_decay WEIGHT_DECAY] [--fix_bn FIX_BN]
                [--num_val NUM_VAL] [--workers WORKERS] [--imgSize IMGSIZE]
                [--segSize SEGSIZE] [--num_class NUM_CLASS]
                [--seed SEED] [--ckpt CKPT] [--vis VIS]
                [--disp_iter DISP_ITER] [--eval_epoch EVAL_EPOCH]
                [--ckpt_epoch CKPT_EPOCH]


  1. Evaluate a trained network on the validation set:
python eval.py --id MODEL_ID
  1. Input arguments: (see full input arguments via python eval.py -h )
usage: eval.py [-h] --id ID [--suffix SUFFIX] [--arch_encoder ARCH_ENCODER]
               [--arch_decoder ARCH_DECODER] [--fc_dim FC_DIM]
               [--list_val LIST_VAL] [--root_img ROOT_IMG]
               [--root_seg ROOT_SEG] [--num_val NUM_VAL]
               [--batch_size BATCH_SIZE] [--imgSize IMGSIZE]
               [--segSize SEGSIZE] [--num_class NUM_CLASS] [--ckpt CKPT]
               [--visualize VISUALIZE] [--result RESULT]


  1. Do inference on a single image:
python test.py --id MODEL_ID --test_img TEST_IMG
  1. Input arguments: (see full input arguments via python test.py -h )
usage: test.py [-h] --id ID [--suffix SUFFIX] [--arch_encoder ARCH_ENCODER]
               [--arch_decoder ARCH_DECODER] [--fc_dim FC_DIM] --test_img
               TEST_IMG [--num_val NUM_VAL] [--batch_size BATCH_SIZE]
               [--imgSize IMGSIZE] [--segSize SEGSIZE] [--num_class NUM_CLASS]
               [--ckpt CKPT] [--visualize VISUALIZE] [--result RESULT]


If you find the code or pre-trained models useful, please cite the following paper:

Scene Parsing through ADE20K Dataset. B. Zhou, H. Zhao, X. Puig, S. Fidler, A. Barriuso and A. Torralba. Computer Vision and Pattern Recognition (CVPR), 2017. (http://people.csail.mit.edu/bzhou/publication/scene-parse-camera-ready.pdf)

    title={Scene Parsing through ADE20K Dataset},
    author={Zhou, Bolei and Zhao, Hang and Puig, Xavier and Fidler, Sanja and Barriuso, Adela and Torralba, Antonio},
    booktitle={Proceedings of the IEEE Conference on Computer Vision and Pattern Recognition},

Semantic Understanding of Scenes through ADE20K Dataset. B. Zhou, H. Zhao, X. Puig, S. Fidler, A. Barriuso and A. Torralba. arXiv:1608.05442. (https://arxiv.org/pdf/1608.05442.pdf)

  title={Semantic understanding of scenes through the ade20k dataset},
  author={Zhou, Bolei and Zhao, Hang and Puig, Xavier and Fidler, Sanja and Barriuso, Adela and Torralba, Antonio},
  journal={arXiv preprint arXiv:1608.05442},